Quote all of the data below word for word, please.

********
Diffraction record for K2BaHgCl6. The X-ray diffraction stick pattern is simulated, not measured: it uses a PBE-relaxed structure and copper Kα.
Kinematic intensities with the Lorentz-polarization factor, no thermal factor.

Main lines, most intense first (2θ = 10–80°):
Position (°2θ), d/Å, I_rel, h k l
16.03, 5.528, 100, 0 1 2
22.41, 3.967, 62, 1 0 4
35.90, 2.502, 57, 2 -1 6
23.08, 3.854, 48, 1 1 0
32.39, 2.764, 46, 0 2 4
40.15, 2.246, 35, 3 -1 4
40.55, 2.225, 32, 3 0 0
26.81, 3.325, 21, 2 -1 3

Structural model:
```
data_K2BaHgCl6
_space_group_name_H-M_alt 'R 3'
_space_group_IT_number 146
_space_group_name_Hall 'R 3'
_cell_length_a 7.7071
_cell_length_b 7.7071
_cell_length_c 19.7327
_cell_angle_alpha 90.00
_cell_angle_beta 90.00
_cell_angle_gamma 120.00
loop_
_atom_site_label
_atom_site_fract_x
_atom_site_fract_y
_atom_site_fract_z
K1 0.0000 0.0000 0.0000
K2 0.0000 0.0000 0.4983
Ba1 0.0000 0.0000 0.2149
Hg1 0.0000 0.0000 0.7117
Cl1 0.0061 0.3955 0.4474
Cl2 0.0725 0.6977 0.2885
```


Starting from a structure optimized by DFT (PBE+U), the X-ray powder pattern of KGdMo2O8 was simulated for Cu Kα (weighted mean of Kα1 and Kα2).
Intensities are scaled so that the largest is 100.

Largest 10 diffraction maxima, low angle first, 2θ = 10–80°:
two_theta	Rel. int.	hkl
14.1	61.1	1 1 -1
25.2	13.5	1 1 1
27.3	29.4	3 1 -2
27.8	100.0	2 2 0
28.3	88.0	2 2 -2
30.1	41.4	0 0 2
34.1	14.4	3 1 0
34.3	14.1	0 4 0
46.3	24.9	0 4 2
52.7	19.1	2 2 -4

```
data_KGdMo2O8
_symmetry_space_group_name_H-M 'C 1 2/c 1'
_symmetry_Int_Tables_number 15
_cell_length_a 10.8812
_cell_length_b 10.4562
_cell_length_c 7.9211
_cell_angle_alpha 90.00
_cell_angle_beta 131.47
_cell_angle_gamma 90.00
loop_
_symmetry_equiv_pos_as_xyz
'x,y,z'
'-x,-y,-z'
'-x,y,-z+1/2'
'x,-y,z+1/2'
'x+1/2,y+1/2,z'
'-x+1/2,-y+1/2,-z'
'-x+1/2,y+1/2,-z+1/2'
'x+1/2,-y+1/2,z+1/2'
loop_
_atom_site_label
_atom_site_type_symbol
_atom_site_fract_x
_atom_site_fract_y
_atom_site_fract_z
K1 K 0.0000 0.1951 0.2500
Gd1 Gd 0.0000 0.2285 0.7500
Mo1 Mo 0.1939 0.4964 0.2402
O1 O 0.0238 0.3927 0.9681
O2 O 0.1292 0.0767 0.6960
O3 O 0.1903 0.4153 0.4339
O4 O 0.2279 0.1549 0.1224
```


Structure and computed powder X-ray diffraction pattern of Rb4B9Se9 (a cell relaxed with PBE; Cu Kα (weighted mean of Kα1 and Kα2)).
Lines closer than 0.1° are merged.

Cell: 10.633 10.898 11.272 Å, 91.24 105.27 110.52°
Fractional positions:
Rb 0.119 0.380 0.132
Rb 0.139 0.004 0.363
Rb 0.244 0.631 0.478
Rb 0.318 0.385 0.757
Rb 0.682 0.615 0.243
Rb 0.756 0.369 0.522
Rb 0.861 0.996 0.637
Rb 0.881 0.620 0.868
B 0.132 0.820 0.686
B 0.166 0.764 0.141
B 0.338 0.967 0.015
B 0.371 0.862 0.915
B 0.380 0.022 0.877
B 0.433 0.262 0.247
B 0.439 0.872 0.080
B 0.454 0.133 0.018
B 0.491 0.040 0.142
B 0.509 0.960 0.858
B 0.546 0.867 0.982
B 0.561 0.128 0.920
B 0.567 0.738 0.753
B 0.620 0.978 0.123
B 0.629 0.138 0.085
B 0.662 0.033 0.985
B 0.834 0.236 0.859
B 0.868 0.180 0.314
Se 0.018 0.654 0.202
Se 0.029 0.259 0.455
Se 0.149 0.912 0.047
Se 0.211 0.712 0.800
Se 0.227 0.016 0.724
Se 0.343 0.729 0.171
Se 0.409 0.288 0.069
Se 0.420 0.385 0.363
Se 0.475 0.105 0.303
Se 0.525 0.895 0.697
Se 0.580 0.615 0.637
Se 0.591 0.712 0.931
Se 0.657 0.271 0.829
Se 0.773 0.984 0.276
Se 0.789 0.288 0.200
Se 0.851 0.088 0.953
Se 0.971 0.741 0.545
Se 0.982 0.346 0.798

Principal peaks in the range 2θ = 5–70°, in order of rising 2θ:
2θ (°)	intensity
25.21	81.9
26.41	82.4
27.07	61.8
28.51	57.5
28.99	100.0
30.02	76.4
30.91	42.9
32.33	85.2
32.51	49.2
34.64	41.3

=====

Structure and computed powder X-ray diffraction pattern of Rb2B2Se7 (a cell relaxed with PBE; Cu Kα (weighted mean of Kα1 and Kα2)).
Lines closer than 0.1° are merged.

Cell: 9.010 9.010 13.062 Å, 120.03 120.03 49.25°
Fractional positions:
Rb 0.119 0.673 0.976
Rb 0.327 0.881 0.524
Rb 0.673 0.119 0.476
Rb 0.881 0.327 0.024
B 0.154 0.615 0.651
B 0.385 0.846 0.849
B 0.615 0.154 0.151
B 0.846 0.385 0.349
Se 0.063 0.100 0.272
Se 0.100 0.063 0.772
Se 0.147 0.402 0.664
Se 0.167 0.570 0.485
Se 0.402 0.147 0.164
********

Diffraction record for K2BaHgCl6. The X-ray diffraction stick pattern is simulated, not measured: it uses a PBE-relaxed structure and copper Kα.
Kinematic intensities with the Lorentz-polarization factor, no thermal factor.

Main lines, most intense first (2θ = 10–80°):
Position (°2θ), d/Å, I_rel, h k l
16.03, 5.528, 100, 0 1 2
22.41, 3.967, 62, 1 0 4
35.90, 2.502, 57, 2 -1 6
23.08, 3.854, 48, 1 1 0
32.39, 2.764, 46, 0 2 4
40.15, 2.246, 35, 3 -1 4
40.55, 2.225, 32, 3 0 0
26.81, 3.325, 21, 2 -1 3

Structural model:
```
data_K2BaHgCl6
_space_group_name_H-M_alt 'R 3'
_space_group_IT_number 146
_space_group_name_Hall 'R 3'
_cell_length_a 7.7071
_cell_length_b 7.7071
_cell_length_c 19.7327
_cell_angle_alpha 90.00
_cell_angle_beta 90.00
_cell_angle_gamma 120.00
loop_
_atom_site_label
_atom_site_fract_x
_atom_site_fract_y
_atom_site_fract_z
K1 0.0000 0.0000 0.0000
K2 0.0000 0.0000 0.4983
Ba1 0.0000 0.0000 0.2149
Hg1 0.0000 0.0000 0.7117
Cl1 0.0061 0.3955 0.4474
Cl2 0.0725 0.6977 0.2885
```


Starting from a structure optimized by DFT (PBE+U), the X-ray powder pattern of KGdMo2O8 was simulated for Cu Kα (weighted mean of Kα1 and Kα2).
Intensities are scaled so that the largest is 100.

Largest 10 diffraction maxima, low angle first, 2θ = 10–80°:
two_theta	Rel. int.	hkl
14.1	61.1	1 1 -1
25.2	13.5	1 1 1
27.3	29.4	3 1 -2
27.8	100.0	2 2 0
28.3	88.0	2 2 -2
30.1	41.4	0 0 2
34.1	14.4	3 1 0
34.3	14.1	0 4 0
46.3	24.9	0 4 2
52.7	19.1	2 2 -4

```
data_KGdMo2O8
_symmetry_space_group_name_H-M 'C 1 2/c 1'
_symmetry_Int_Tables_number 15
_cell_length_a 10.8812
_cell_length_b 10.4562
_cell_length_c 7.9211
_cell_angle_alpha 90.00
_cell_angle_beta 131.47
_cell_angle_gamma 90.00
loop_
_symmetry_equiv_pos_as_xyz
'x,y,z'
'-x,-y,-z'
'-x,y,-z+1/2'
'x,-y,z+1/2'
'x+1/2,y+1/2,z'
'-x+1/2,-y+1/2,-z'
'-x+1/2,y+1/2,-z+1/2'
'x+1/2,-y+1/2,z+1/2'
loop_
_atom_site_label
_atom_site_type_symbol
_atom_site_fract_x
_atom_site_fract_y
_atom_site_fract_z
K1 K 0.0000 0.1951 0.2500
Gd1 Gd 0.0000 0.2285 0.7500
Mo1 Mo 0.1939 0.4964 0.2402
O1 O 0.0238 0.3927 0.9681
O2 O 0.1292 0.0767 0.6960
O3 O 0.1903 0.4153 0.4339
O4 O 0.2279 0.1549 0.1224
```


Structure and computed powder X-ray diffraction pattern of Rb4B9Se9 (a cell relaxed with PBE; Cu Kα (weighted mean of Kα1 and Kα2)).
Lines closer than 0.1° are merged.

Cell: 10.633 10.898 11.272 Å, 91.24 105.27 110.52°
Fractional positions:
Rb 0.119 0.380 0.132
Rb 0.139 0.004 0.363
Rb 0.244 0.631 0.478
Rb 0.318 0.385 0.757
Rb 0.682 0.615 0.243
Rb 0.756 0.369 0.522
Rb 0.861 0.996 0.637
Rb 0.881 0.620 0.868
B 0.132 0.820 0.686
B 0.166 0.764 0.141
B 0.338 0.967 0.015
B 0.371 0.862 0.915
B 0.380 0.022 0.877
B 0.433 0.262 0.247
B 0.439 0.872 0.080
B 0.454 0.133 0.018
B 0.491 0.040 0.142
B 0.509 0.960 0.858
B 0.546 0.867 0.982
B 0.561 0.128 0.920
B 0.567 0.738 0.753
B 0.620 0.978 0.123
B 0.629 0.138 0.085
B 0.662 0.033 0.985
B 0.834 0.236 0.859
B 0.868 0.180 0.314
Se 0.018 0.654 0.202
Se 0.029 0.259 0.455
Se 0.149 0.912 0.047
Se 0.211 0.712 0.800
Se 0.227 0.016 0.724
Se 0.343 0.729 0.171
Se 0.409 0.288 0.069
Se 0.420 0.385 0.363
Se 0.475 0.105 0.303
Se 0.525 0.895 0.697
Se 0.580 0.615 0.637
Se 0.591 0.712 0.931
Se 0.657 0.271 0.829
Se 0.773 0.984 0.276
Se 0.789 0.288 0.200
Se 0.851 0.088 0.953
Se 0.971 0.741 0.545
Se 0.982 0.346 0.798

Principal peaks in the range 2θ = 5–70°, in order of rising 2θ:
2θ (°)	intensity
25.21	81.9
26.41	82.4
27.07	61.8
28.51	57.5
28.99	100.0
30.02	76.4
30.91	42.9
32.33	85.2
32.51	49.2
34.64	41.3

=====

Structure and computed powder X-ray diffraction pattern of Rb2B2Se7 (a cell relaxed with PBE; Cu Kα (weighted mean of Kα1 and Kα2)).
Lines closer than 0.1° are merged.

Cell: 9.010 9.010 13.062 Å, 120.03 120.03 49.25°
Fractional positions:
Rb 0.119 0.673 0.976
Rb 0.327 0.881 0.524
Rb 0.673 0.119 0.476
Rb 0.881 0.327 0.024
B 0.154 0.615 0.651
B 0.385 0.846 0.849
B 0.615 0.154 0.151
B 0.846 0.385 0.349
Se 0.063 0.100 0.272
Se 0.100 0.063 0.772
Se 0.147 0.402 0.664
Se 0.167 0.570 0.485
Se 0.402 0.147 0.164